Stella Herbert- Embracing Life’s Journey: From Loss to Volunteering
Stella Herbert is one of our longstanding supporters and proud volunteers at the Trust. She kindly wrote and delivered this speech at our recent fundraising event- Cereals.
Hello, I’m Stella Herbert, and I am writing this blog as my husband Mike had Multiple System Atrophy and died in 2014 from Sepsis, complicated by his MSA.
Mike was a busy & fit – well ok – a bit of middle aged spread, but active ex-cop, who after his retirement aged 50; was working in the Notts Police Control Room as a Dispatcher and Tutor. His first symptoms (had we known at the time) were horrific violent nightmares; bad bad snoring, coughing & choking when he ate. We bought a new car, and Mike struggled with the clutch (A traffic cop who can’t drive? )– and that was really what started our quest to seek a diagnosis. MSA is such an unusual illness that we were passed from pillar to post for test after test, to see what the issue might be. After his diagnosis I was thankful that it wasn’t a stroke, or cancer and that we would sort it. How wrong I was.
We were so blessed to be referred to Professor Marios Hajivassilou at the Hallamshire Hospital, Sheffield, and his excellent specialist Nurse, Diane, as well as MSA Nurse Katie Rigg , who I saw every 3 months and Mike saw every 6 months.
His progress was as expected, on a plateau and then deep troughs, with changes in treatment as the condition worsened. He had to give up the job he loved and we moved out of our house when he was unable to walk or stand properly. We moved into my mum’s bungalow where we were grateful for a Police Benevolent Fund grant to convert a wet room for us to use. By this time he needed help dressing, eating, moving and his speech was virtually unintelligible- BUT his mind was sharp. He liked his puzzles and Suduku to keep himself occupied as well as motor-racing and cycling on the TV. We also had an amazing Specialist Neuro Physio Sally, who came every week to our house and looked after Mike , she was so much more than a physical therapist, her expertise helped us with all sorts of issues, medical and practical – indeed we are still good friends to this day.
Mike was prone to infections; chest and urinary, and fought them off every time, but the last one took him in 24 hours.
Death is not an easy subject, but one you can’t hide from.
Mike as a Fatal Accident Investigator knew exactly what he did and didn’t want for his end of life care. Therefore it was much more straight forward for me when the nursing staff began to explain that was the road we were heading down. The MSA nurses were very helpful about being realistic about this pathway as were the Hospice staff. It helped us accept and understand the situation we had been dealt. Where would I have been without them?
Karen, and all her colleagues at the Trust but especially for us, Katie Rigg and the MSA nurses have been so brilliant, with both the on line and in person support during the 4 years that we fought the illness together.
The information about MSA on line is very scary when you first do your research, like you do, but the Trust provided us with packs for our GP and other Healthcare professionals who may not have encountered it before. It was through the on line Forum that I was able to chat, exchange symptoms and solutions and eventually obtained a vehicle ; a battered , worn and 4th hand Van. This meant we could go out to the Coast, meet Mike’s grandkids at the park, go to a dental appointment, and see something other than the bungalow we lived in. He could also get to one weekly session of daycare at our local Hospice, meaning I got a few hours off. The van came from Sue in Bicester, who’s husband had recently died of MSA, and who knew exactly how hard getting that right vehicle was. Again, I am still in touch with her today and she and her daughters come to the MSA Summer Garden Parties and Tree Planting. Mike and I even managed one last weekend trip to Llandudno the year he died for his birthday and our anniversary with his brother, thanks to a very helpful hotel, and had an amazing time remembering their boyhood holidays there.
But to be honest it was after Mike had died when I really knew the true worth of the MSA Trust.
1.
{
  "formula": "C41H29BrCl2N4O3PRhS2",
  "method": "ωB97M-V/def2-TZVPD",
  "spin_multiplicity": 1,
  "energy_ev": -184147.796,
  "gap_ev": [7.00, 6.99],
  "e_above_lowest_ev": 0.000,
  "homo_energy_ev": [-7.93, -7.93],
  "species": ["Rh", "S", "C", "S", "C", "C", "N", "C", "N", "O", "P", "C", "C", "C", "C", "C", "C", "C", "C", "C", "C", "C", "C", "C", "C", "C", "C", "C", "C", "H", "H", "H", "H", "H", "H", "H", "H", "H", "H", "H", "H", "H", "H", "H", "Br", "C", "C", "C", "C", "N", "C", "H", "H", "H", "H", "Cl", "C", "C", "C", "C", "C", "Cl", "C", "N", "C", "C", "C", "C", "C", "C", "C", "C", "O", "O", "H", "H", "H", "H", "H", "H", "H", "H", "H", "H"],
  "coordinates": [[0.295, 0.660, -0.962], [2.552, 0.073, -1.086], [2.112, -1.108, -2.257], [0.584, -0.638, -2.871], [2.794, -2.247, -2.580], [4.047, -2.545, -1.961], [5.044, -2.786, -1.437], [2.201, -3.209, -3.457], [1.688, -3.989, -4.132], [-1.160, -0.950, -0.495], [-1.380, -2.422, -0.197], [-2.471, -2.553, 1.225], [-3.097, -1.397, 1.682], [-4.010, -1.473, 2.726], [-4.297, -2.698, 3.308], [-3.666, -3.853, 2.858], [-2.755, -3.782, 1.817], [-2.175, -3.323, -1.530], [-1.430, -3.628, -2.671], [-2.019, -4.302, -3.727], [-3.354, -4.677, -3.650], [-4.101, -4.378, -2.520], [-3.516, -3.700, -1.460], [0.138, -3.297, 0.180], [0.270, -4.670, -0.032], [1.476, -5.298, 0.239], [2.551, -4.562, 0.721], [2.423, -3.197, 0.937], [1.219, -2.567, 0.670], [-2.865, -0.449, 1.212], [-4.501, -0.576, 3.081], [-5.014, -2.759, 4.116], [-3.889, -4.807, 3.316], [-2.265, -4.683, 1.465], [-0.386, -3.359, -2.729], [-1.428, -4.540, -4.601], [-3.814, -5.207, -4.475], [-5.140, -4.675, -2.459], [-4.106, -3.464, -0.584], [-0.555, -5.240, -0.441], [1.584, -6.357, 0.049], [3.497, -5.050, 0.917], [3.269, -2.620, 1.287], [1.122, -1.502, 0.830], [-4.954, 1.833, -2.933], [-3.697, 2.194, -1.579], [-3.919, 3.193, -0.651], [-2.960, 3.399, 0.323], [-1.830, 2.604, 0.335], [-1.627, 1.639, -0.562], [-2.542, 1.442, -1.517], [-4.818, 3.792, -0.691], [-3.075, 4.177, 1.064], [-1.065, 2.750, 1.084], [-2.350, 0.654, -2.231], [0.909, 1.219, 1.583], [2.612, 1.450, 1.930], [3.256, 0.532, 2.735], [4.580, 0.766, 3.065], [5.230, 1.897, 2.594], [4.561, 2.794, 1.777], [5.394, 4.177, 1.168], [3.231, 2.585, 1.405], [2.555, 3.387, 0.490], [2.035, 4.654, 0.750], [2.102, 5.231, 2.015], [1.517, 6.467, 2.253], [0.853, 7.133, 1.235], [0.798, 6.555, -0.027], [1.393, 5.331, -0.299], [1.353, 4.754, -1.699], [0.369, 3.588, -1.828], [-0.781, 3.778, -2.160], [0.934, 2.429, -1.547], [2.725, -0.334, 3.107], [5.109, 0.065, 3.696], [6.269, 2.078, 2.835], [2.137, 2.900, -0.299], [2.608, 4.703, 2.815], [1.571, 6.900, 3.244], [0.391, 8.094, 1.416], [0.292, 7.072, -0.834], [2.346, 4.404, -1.990], [1.013, 5.517, -2.395]],
Mike and I were both Rotarians of the Sherwood Forest Rotary, on the doorstep of Thoresby Park. After Mike’s death, I was absolutely delighted to volunteer at the Tree Planting days and Summer Socials held at Thoresby.
I am personally honoured to assist on those dark, cold, often wet, winter tree planting days, to guide people to Sarah’s Wood, and chat about my MSA journey and theirs. This relationship continues today.
I am delighted to say that one of the first trees planted at the far back of the wood was by me, for Mike, and his is one of the first bricks in the path. Our Granddaughters and Mike’s daughter Katie come here often, the girls have planted many trees, and support me and the MSA Trust whenever they can.
I know from speaking to the many families who come to the MSAT events year on year, just how valuable this charity is and the importance of Sarah’s Wood. The wood is a place to visit, to chat, remember and maybe weep a bit, but know we are all in the same boat and understand the journey we have had or about to take.
So as I close, please consider donating or volunteering for this fabulous charity, that supports people suffering from this rare illness- that takes brilliant people, for no reason. Or join us at Sarah’s Wood for the Trust’s annual Summer Social or in November for the Tree Planting day. We will ensure the trees are planted with care and nurtured for more families to come and remember their loved ones forever.
Thank you Stella for your continued support and dedication to the Trust.
For more information on volunteering opportunities at Sarah’s Wood please contact a member of our team at
Disclaimer: The views and opinions expressed in the blogs published on these pages are those of the authors and do not necessarily reflect the official policy or position of the MSA Trust.
Stella, I remember you well from the old MSA Trust forum. I have bought our brick, but have yet to visit it!
Well done for the work you do at Sarah’s Wood. X